Excerpt =
-- begin --
# 1
Entry from OMol25: a cluster of 13 separate species, C18H16Cl48NO2S in total (ωB97M-V/def2-TZVPD).

Geometry as XYZ:
```
86
Properties=species:S:1:pos:R:3:forces:R:3
C 9.223212 -1.060757 0.593155 0.3008 0.4451 0.4971
C 8.397332 0.166776 0.974795 -0.6925 -0.7173 -0.4063
C 7.760272 0.780638 -0.292640 -0.0557 -0.0845 0.6044
C 6.342287 1.343218 -0.138661 0.8848 1.2008 0.1795
C 6.050843 2.055831 1.183142 -0.9134 -0.6160 -0.2737
N 5.292687 0.305056 -0.502476 0.4474 0.0568 -0.0678
C 5.314317 -0.969944 0.252302 -0.6994 -0.7663 -0.2671
S 4.396328 -0.803641 1.798390 0.1087 0.5008 1.4187
O 3.402722 0.203202 1.565841 -0.0198 -0.0972 -0.5524
O 5.296243 -0.664756 2.899822 0.2285 -0.3405 -0.4808
H 9.831164 -1.390729 1.435578 -0.0194 -0.0407 -0.0297
H 9.894933 -0.859782 -0.240440 0.0099 -0.0084 -0.0265
H 8.578851 -1.899170 0.330765 -0.0741 0.0563 -0.1510
H 7.593734 -0.200144 1.619223 0.1240 0.1928 0.2882
H 8.961165 0.890047 1.559421 0.0347 0.0926 -0.1383
H 8.387904 1.605854 -0.628120 -0.0098 -0.0916 -0.2559
H 7.746379 0.016348 -1.076491 0.1665 0.1348 -0.1943
H 6.237649 2.123554 -0.896391 -0.3540 -0.3406 -0.2826
H 6.355327 1.486277 2.056418 0.2478 0.1871 0.0524
H 6.475827 3.054696 1.147992 0.2702 -0.0946 0.1480
H 4.966821 2.177329 1.270824 0.0619 0.2265 0.0867
H 5.448794 0.070728 -1.486376 -0.0595 0.0676 0.0258
H 4.366451 0.746344 -0.429118 -0.0948 -0.2075 0.1923
H 6.307507 -1.379944 0.413220 0.1577 0.4069 0.0545
H 4.756703 -1.712557 -0.326201 -0.0384 0.0791 -0.0332
H 3.799093 -2.014633 1.940886 0.0126 0.0095 -0.4067
C -0.393480 0.184820 1.361508 -0.1020 0.0292 0.0786
Cl -0.427948 1.883493 0.883182 0.0423 0.0018 -0.0230
Cl -2.026960 -0.461628 1.371929 -0.0385 0.0748 -0.0562
Cl 0.584282 -0.730804 0.195078 -0.0183 -0.0768 -0.0404
Cl 0.316069 0.047653 2.979750 0.0053 0.0268 -0.0784
C -5.962931 0.289432 -1.286273 -0.0338 0.0350 0.0036
Cl -4.616812 -0.346889 -2.239736 0.0102 -0.1055 -0.0579
Cl -7.378954 0.495296 -2.317827 0.1862 -0.1430 -0.1205
Cl -6.336263 -0.854234 0.008507 -0.0881 0.4014 0.1022
Cl -5.490108 1.844931 -0.595664 0.0269 -0.0075 0.0084
C -6.385253 -5.284824 -0.204110 -0.1172 -0.1127 -0.0639
Cl -5.132324 -6.364568 0.420166 -0.1424 -0.0129 -0.0761
Cl -7.512156 -4.871001 1.093001 0.0007 -0.0145 0.0403
Cl -5.667619 -3.792209 -0.824772 0.1727 -0.3812 -0.0381
Cl -7.259356 -6.098183 -1.500316 0.0594 -0.0346 -0.0425
C -11.092272 -5.954676 -2.497653 -0.0095 -0.0033 0.0229
Cl -10.359564 -4.405689 -2.070575 -0.0538 0.0703 0.0086
Cl -10.314812 -6.585880 -3.954212 0.0182 -0.0086 0.0009
Cl -10.866848 -7.097863 -1.169929 -0.0057 -0.0006 0.0036
Cl -12.816664 -5.731411 -2.797138 0.0177 -0.0022 -0.0075
C 9.608771 -0.919201 -4.091908 0.1453 -0.0424 -0.0335
Cl 10.519136 0.545361 -3.726152 -0.0413 0.0115 0.0253
Cl 10.095299 -1.555846 -5.654827 -0.0360 0.0254 0.0493
Cl 9.910714 -2.126932 -2.835006 -0.0438 -0.0188 -0.0764
Cl 7.871546 -0.535264 -4.134114 -0.0885 0.0081 0.0107
C -9.425208 3.795065 -1.012972 -0.0271 -0.0617 0.1764
Cl -9.086140 2.317098 -0.103523 -0.1655 0.1081 0.1449
Cl -10.877481 3.564527 -1.989699 0.0085 0.0264 -0.0238
Cl -9.697471 5.118068 0.139634 0.2240 -0.3560 0.0618
Cl -8.056066 4.155284 -2.067517 -0.0184 0.0339 0.0554
C 10.692394 -5.018941 1.435712 0.0624 -0.1055 0.0370
Cl 10.554120 -4.105469 2.942188 -0.0125 0.0198 -0.0050
Cl 12.364621 -5.509179 1.190102 -0.0354 0.0235 -0.0033
Cl 9.655194 -6.443206 1.511260 0.0021 0.0273 -0.0064
Cl 10.174960 -3.989170 0.086236 0.1097 -0.2712 -0.0809
C -2.083219 1.658257 -4.674962 -0.0727 0.0328 0.0112
Cl -1.841176 -0.031868 -5.130153 0.0007 -0.0274 -0.0010
Cl -1.873355 1.826188 -2.927891 0.0843 0.0415 0.0576
Cl -0.901294 2.670971 -5.512057 0.0005 -0.0147 0.0037
Cl -3.713427 2.160884 -5.118629 0.0152 -0.0053 0.0016
C -1.421476 -4.657447 2.391233 -0.0414 -0.0527 -0.0299
Cl -0.308721 -5.488441 1.292553 0.0190 -0.0225 -0.0255
Cl -2.882850 -4.214052 1.508789 0.1982 0.1639 0.0883
Cl -1.840664 -5.732746 3.724407 0.0141 0.0301 -0.0079
Cl -0.627960 -3.207903 3.021223 0.0013 -0.0538 0.0558
-- stop --

Assignment =
Please retype the lines earlier on verbatim.

Completed =
# 1
Entry from OMol25: a cluster of 13 separate species, C18H16Cl48NO2S in total (ωB97M-V/def2-TZVPD).

Geometry as XYZ:
```
86
Properties=species:S:1:pos:R:3:forces:R:3
C 9.223212 -1.060757 0.593155 0.3008 0.4451 0.4971
C 8.397332 0.166776 0.974795 -0.6925 -0.7173 -0.4063
C 7.760272 0.780638 -0.292640 -0.0557 -0.0845 0.6044
C 6.342287 1.343218 -0.138661 0.8848 1.2008 0.1795
C 6.050843 2.055831 1.183142 -0.9134 -0.6160 -0.2737
N 5.292687 0.305056 -0.502476 0.4474 0.0568 -0.0678
C 5.314317 -0.969944 0.252302 -0.6994 -0.7663 -0.2671
S 4.396328 -0.803641 1.798390 0.1087 0.5008 1.4187
O 3.402722 0.203202 1.565841 -0.0198 -0.0972 -0.5524
O 5.296243 -0.664756 2.899822 0.2285 -0.3405 -0.4808
H 9.831164 -1.390729 1.435578 -0.0194 -0.0407 -0.0297
H 9.894933 -0.859782 -0.240440 0.0099 -0.0084 -0.0265
H 8.578851 -1.899170 0.330765 -0.0741 0.0563 -0.1510
H 7.593734 -0.200144 1.619223 0.1240 0.1928 0.2882
H 8.961165 0.890047 1.559421 0.0347 0.0926 -0.1383
H 8.387904 1.605854 -0.628120 -0.0098 -0.0916 -0.2559
H 7.746379 0.016348 -1.076491 0.1665 0.1348 -0.1943
H 6.237649 2.123554 -0.896391 -0.3540 -0.3406 -0.2826
H 6.355327 1.486277 2.056418 0.2478 0.1871 0.0524
H 6.475827 3.054696 1.147992 0.2702 -0.0946 0.1480
H 4.966821 2.177329 1.270824 0.0619 0.2265 0.0867
H 5.448794 0.070728 -1.486376 -0.0595 0.0676 0.0258
H 4.366451 0.746344 -0.429118 -0.0948 -0.2075 0.1923
H 6.307507 -1.379944 0.413220 0.1577 0.4069 0.0545
H 4.756703 -1.712557 -0.326201 -0.0384 0.0791 -0.0332
H 3.799093 -2.014633 1.940886 0.0126 0.0095 -0.4067
C -0.393480 0.184820 1.361508 -0.1020 0.0292 0.0786
Cl -0.427948 1.883493 0.883182 0.0423 0.0018 -0.0230
Cl -2.026960 -0.461628 1.371929 -0.0385 0.0748 -0.0562
Cl 0.584282 -0.730804 0.195078 -0.0183 -0.0768 -0.0404
Cl 0.316069 0.047653 2.979750 0.0053 0.0268 -0.0784
C -5.962931 0.289432 -1.286273 -0.0338 0.0350 0.0036
Cl -4.616812 -0.346889 -2.239736 0.0102 -0.1055 -0.0579
Cl -7.378954 0.495296 -2.317827 0.1862 -0.1430 -0.1205
Cl -6.336263 -0.854234 0.008507 -0.0881 0.4014 0.1022
Cl -5.490108 1.844931 -0.595664 0.0269 -0.0075 0.0084
C -6.385253 -5.284824 -0.204110 -0.1172 -0.1127 -0.0639
Cl -5.132324 -6.364568 0.420166 -0.1424 -0.0129 -0.0761
Cl -7.512156 -4.871001 1.093001 0.0007 -0.0145 0.0403
Cl -5.667619 -3.792209 -0.824772 0.1727 -0.3812 -0.0381
Cl -7.259356 -6.098183 -1.500316 0.0594 -0.0346 -0.0425
C -11.092272 -5.954676 -2.497653 -0.0095 -0.0033 0.0229
Cl -10.359564 -4.405689 -2.070575 -0.0538 0.0703 0.0086
Cl -10.314812 -6.585880 -3.954212 0.0182 -0.0086 0.0009
Cl -10.866848 -7.097863 -1.169929 -0.0057 -0.0006 0.0036
Cl -12.816664 -5.731411 -2.797138 0.0177 -0.0022 -0.0075
C 9.608771 -0.919201 -4.091908 0.1453 -0.0424 -0.0335
Cl 10.519136 0.545361 -3.726152 -0.0413 0.0115 0.0253
Cl 10.095299 -1.555846 -5.654827 -0.0360 0.0254 0.0493
Cl 9.910714 -2.126932 -2.835006 -0.0438 -0.0188 -0.0764
Cl 7.871546 -0.535264 -4.134114 -0.0885 0.0081 0.0107
C -9.425208 3.795065 -1.012972 -0.0271 -0.0617 0.1764
Cl -9.086140 2.317098 -0.103523 -0.1655 0.1081 0.1449
Cl -10.877481 3.564527 -1.989699 0.0085 0.0264 -0.0238
Cl -9.697471 5.118068 0.139634 0.2240 -0.3560 0.0618
Cl -8.056066 4.155284 -2.067517 -0.0184 0.0339 0.0554
C 10.692394 -5.018941 1.435712 0.0624 -0.1055 0.0370
Cl 10.554120 -4.105469 2.942188 -0.0125 0.0198 -0.0050
Cl 12.364621 -5.509179 1.190102 -0.0354 0.0235 -0.0033
Cl 9.655194 -6.443206 1.511260 0.0021 0.0273 -0.0064
Cl 10.174960 -3.989170 0.086236 0.1097 -0.2712 -0.0809
C -2.083219 1.658257 -4.674962 -0.0727 0.0328 0.0112
Cl -1.841176 -0.031868 -5.130153 0.0007 -0.0274 -0.0010
Cl -1.873355 1.826188 -2.927891 0.0843 0.0415 0.0576
Cl -0.901294 2.670971 -5.512057 0.0005 -0.0147 0.0037
Cl -3.713427 2.160884 -5.118629 0.0152 -0.0053 0.0016
C -1.421476 -4.657447 2.391233 -0.0414 -0.0527 -0.0299
Cl -0.308721 -5.488441 1.292553 0.0190 -0.0225 -0.0255
Cl -2.882850 -4.214052 1.508789 0.1982 0.1639 0.0883
Cl -1.840664 -5.732746 3.724407 0.0141 0.0301 -0.0079
Cl -0.627960 -3.207903 3.021223 0.0013 -0.0538 0.0558